What Chance for a Power Sharing Peace in South Sudan? – By Tongun Lo Loyuong

The collapse of the IGAD-led power sharing negotiations on South Sudan revealed the inherent flaw with the process and justified various critiques that many have previously been expressed by many commentators. At the heart of those criticisms was the concern that IGAD has managed to reduce South Sudan’s peace process into a power sharing faí§ade aimed at appeasing the very elites responsible for the war. Political power will simply be redistributed among the same leaders at the expense of addressing the central issues that culminated in the violent eruption on 15th December, 2013.
The underlying causes of the conflict, including proximate causes or causes derived from political leadership failure, have had little bearing on IGAD’s peacemaking initiative. The well-documented crimes and gruesome atrocities perpetrated against the civilian population, often across ethnic and tribal lines, are increasingly seen as being neglected in determining an adequate course of action to both end the violence in the short-term and foster a lasting peace.
Social and economic problems created by misrule and mismanagement of the country seemed peripheral to the talks. These include but are not limited to rampant corruption and embezzlement of public funds, tribal politics, nepotism and the little regard given to merits and qualifications in employment practices in the public sector, which have in turn been reflected in government failure to maintain peace and security, law and order and deliver any meaningful social and economic services.
From a conflict transformation perspective, the previous IGAD initiative was best described as a power-sharing initiative. We should not be misled into thinking this was a peace process, because it was mainly driven by collective or individual power-sharing concerns and not public ones aimed at addressing the underlying causes that led to and continue to sustain the violent conflict.
Meanwhile, the general humanitarian situation remains dire as unspeakable mass suffering and civilian displacement continues. In an ideal world, reason and international rule of law would dictate that justice, accountability and due process would lead to some form of punishment of the implicated parties. Instead, political power-sharing – which will ultimately reward the wrongdoers with renewed terms in political office – remains the favoured approach.
# Unrelated to this text: crystal structures
The following is a DFT calculation (PBE) of a relaxed BaTc2Os crystal.

Lattice parameters (Å, degrees): 2.925 2.925 30.609 90.00 90.00 120.00
Element x y z (fractional)
Ba (0.000, 0.000, 0.000)
Ba (0.333, 0.667, 0.667)
Ba (0.667, 0.333, 0.333)
Tc (0.000, 0.000, 0.234)
Tc (0.000, 0.000, 0.766)
Tc (0.333, 0.667, 0.432)
Tc (0.333, 0.667, 0.901)
Tc (0.667, 0.333, 0.099)
Tc (0.667, 0.333, 0.568)
Os (0.000, 0.000, 0.500)
Os (0.333, 0.667, 0.167)
Os (0.667, 0.333, 0.833)

Output
Crystal system: trigonal
E_form (eV/atom): 1.01
DOS(E_F) (states/eV/f.u.): 4.9
Total moment (μB per formula unit): 0.000
Density (g/cm³): 11.500

=====

The following is a DFT calculation (PBE) of a relaxed NaLiSnSe3 crystal.

Lattice parameters (Å, degrees): 7.639 4.022 10.373 90.00 105.50 90.00
Element x y z (fractional)
Na (0.142, 0.250, 0.179)
Na (0.858, 0.750, 0.821)
Li (0.124, 0.750, 0.573)
Li (0.876, 0.250, 0.427)
Sn (0.370, 0.250, 0.824)
Sn (0.630, 0.750, 0.176)
Se (0.021, 0.250, 0.685)
Se (0.289, 0.750, 0.995)
Se (0.467, 0.750, 0.681)
Se (0.533, 0.250, 0.319)
Se (0.711, 0.250, 0.005)
Se (0.979, 0.750, 0.315)

Output
Raw formation energy (eV per atom): -0.78
Crystal system: monoclinic
Total moment (μB per formula unit): 0.000
Density (g/cm³): 4.169

=====

The following is a DFT calculation (PBE) of a relaxed CdRePt2Au crystal.

Lattice parameters (Å, degrees): 5.004 5.004 4.899 90.00 90.00 90.00
Element x y z (fractional)
Cd (0.000, 0.000, 0.000)
Re (0.500, 0.500, 0.000)
Pt (0.000, 0.500, 0.500)
Pt (0.500, 0.000, 0.500)
Au (0.000, 0.000, 0.500)

Output
Crystal system: tetragonal
E_form (eV/atom): 1.80
DOS(E_F) (states/eV/f.u.): 3.8
Total moment (μB per formula unit): 4.103
Density (g/cm³): 11.989

=====

The following is a DFT calculation (PBE) of a relaxed K2ZrNbO6 crystal.

Lattice parameters (Å, degrees): 5.865 5.865 5.865 60.00 60.00 60.00
Element x y z (fractional)
K (0.250, 0.250, 0.250)
K (0.750, 0.750, 0.750)
Zr (0.000, 0.000, 0.000)
Nb (0.500, 0.500, 0.500)
O (0.256, 0.256, 0.744)
O (0.256, 0.744, 0.256)
O (0.256, 0.744, 0.744)
O (0.744, 0.256, 0.256)
O (0.744, 0.256, 0.744)
O (0.744, 0.744, 0.256)

Output
Raw formation energy (eV per atom): -2.43
Crystal system: cubic
DOS(E_F) (states/eV/f.u.): 5.0
Total moment (μB per formula unit): 0.931
Density (g/cm³): 4.171

=====

The following is a DFT calculation (PBE) of a relaxed ZrFeTc2Ni crystal.

Lattice parameters (Å, degrees): 4.347 4.347 4.717 90.00 90.00 90.00
Element x y z (fractional)
Zr (0.000, 0.000, 0.000)
Fe (0.000, 0.000, 0.500)
Tc (0.000, 0.500, 0.500)
Tc (0.500, 0.000, 0.500)
Ni (0.500, 0.500, 0.000)

Output
Crystal system: tetragonal
E_form (eV/atom): 0.95
DOS(E_F) (states/eV/f.u.): 6.8
Total moment (μB per formula unit): 0.000
Density (g/cm³): 7.484

=====

The following is a DFT calculation (PBE) of a relaxed MnGaN2 crystal.

Lattice parameters (Å, degrees): 5.305 2.928 5.567 90.00 90.00 90.00
Element x y z (fractional)
Mn (0.000, 0.000, 0.000)
Mn (0.500, 0.000, 0.000)
Ga (0.250, 0.000, 0.412)
IGAD plans to restart the process in April. The renewed initiative dubbed “˜IGAD-Plus’ will be more broad-based in terms of participation than its unsuccessful predecessor. It will include representatives from the “˜Big Brothers’ – namely the Troika States and South Sudan’s guarantors, the United States, Britain and Norway – as well as key international players, including representatives from the European Union, China and the African Union. What role the new players will assume and to what purpose remains to be seen, and so does the agenda for the revived process.
Business is unlikely to resume as usual, but to what extent anything will change remains unclear. IGAD has pledged that a new “reinvigorated” and “reformed” peacemaking initiative in South Sudan is in order, given the failure of the previous attempt. But it is probably unwise to hold one’s breath regarding the extent to which “reform” and “reinvigoration” will be injected in to IGAD-Plus.
Power-sharing between the principal parties to the conflict is likely to remain the central driver of the renewed initiative. The United Nations Security Council has accordingly decided to allow the warring parties a second bite of the cherry by withholding punitive action for the time being. Resolution 2206, which members of Security Council recently unanimously endorsed, and which establishes a legal framework for the adoption of punitive measures against peace spoilers and rights abusers, will probably be shelved (pending the outcome of the revived mediation process).
The central message here is that the International Community has continued to exercise patience and leniency towards South Sudan’s warring parties, despite the dire reality and the continued suffering of the people of South Sudan at the hands of their own political leaders. South Sudan’s warring parties and their violence-prone hawks are still regarded by regional and international stakeholders as intrinsic to any new political dispensation that would end the war.
But the support these leaders continue to command from members of the International Community is on the verge of being eroded by their continued stubbornness and inclination to continue a devastating New War that is entirely “˜man-made’, or designed by the political leadership in South Sudan. As a result of mindsets that favour violence rather than democracy as a means to fulfill personal ambition and retain or gain power, they are missing repeated opportunities to share power and remain relevant to the political processes in the country.
South Sudan’s leaders’ failure to protect the country’s people deserves nothing less than these leaders being locked behind prison bars. However, the people of South Sudan are generally kindhearted and the warring leaders may still be able to atone for their failure and be forgiven by demonstrating courage and making the necessary concessions to share power in a transitional arrangement.
The ordinary South Sudanese living in the middle of the violent conflict only want to see this nightmare end, regardless of the quality of such a peace. They will grab anything that will end the violence, mitigate their suffering and avert further regionalisation and internationalisation of the conflict so that they can begin to heal and rebuild their lives.
A final opportunity to reach peace through power sharing has presented itself in the IGAD-Plus, but it is entirely up to South Sudan’s leaders to seize this opportunity.
Tongun Lo Loyuong is a conflict and peace researcher. He studied at the University of Notre Dame in Indiana and is currently pursuing a PhD in the UK. He is reachable at: [email protected] or http://tloloyuong.wordpress.com/